Sourdough starters may seem like fickle beasts. If you don’t feed them, they’ll die. If you don’t water them, they’ll die. Let them sit in the cold? They won’t grow. Or if you let them sit in the heat, they’ll grow too fast (and they’ll die).
But don’t let that scare you away from using a sourdough starter!Once you get the hang of caring for your starter, you’ll soon have an invaluable component for bread making.
To help you get your starter off in the right direction, I’ve tackled these sourdough starter commonly asked questions.
Starting is a lengthy process, but it doesn’t have to be a difficult one. These sourdough starter commonly asked questions will help you avoid making beginner mistakes.
I want to make sourdough, but where do I begin?
Since a few of my recipes rely on wild yeast sourdough starter, I’ve given basic instructions for creating your own wild yeast sourdough starter.
What kinds of flour can I use?
In my instructions, I use all-purpose white flour since that’s the cheapest and that’s the easiest available. However, you should be able to make a starter using just about any kind of flour, including rye, whole wheat, spelt, and barley. As long as your flour is grain-based, you should be fine.
What kinds of water should I use?
While you can use distilled water, bottled water, or mineral water for your starter, regular tap water works just as well. However, if you have high chlorine levels in your water, fill a bottle with water and let it sit overnight to allow the chlorine to dissipate before baking.
What kind of container should I use?
Your starter will produce acids that will eat away at a variety of metals, so steer away from using metal bowls or containers when making a starter (though you can use them when baking with your starter). I tend to switch between a generic glass bowl and a canning jar; both of which I cover loosely with plastic wrap.
However, if you plan to keep a starter for a while, I suggest investing in a Weck jar. It has a lid that sits on top rather than screwing into the base, so it has room for expansion during fermentation.
Does my cover have to be airtight?
Unless you’re a super secret spy, your cover does not need to be airtight. In fact, starters produce gases during the fermentation process, and your container will need a way to release those gases or it will burst. I suggest using plastic wrap when covering your starter container, as it has some give for expansion but it won’t let other objects fall into yourjar.
Once you’ve created a mature sourdough starter, you can easily maintain it. However, it’s normal to ask the following sourdough starter commonly asked questions.
How often should I clean my container?
I recommend cleaning the top of the container whenever you feed your starter. After a feeding, scrape down the sides and incorporate the residue back into the starter. Then use a damp cloth or towel to wipe any remaining moisture from the top of the container. This will keep the top half of your container reasonably clean, and the starter will cover the bottom half.
But if your container seems particularly crusty after a couple of weeks, feel free to transfer your starter to a clean container and wash the old one.
When is the best time to feed my starter?
If you are a beginning baker, aim to feed it once daily at a time that works best for you. Many of my friends and family say that they struggle to maintain a starter because they can never remember to feed it. They fall out of practice and the starter dies. I try to remember to feed my starter at about the same time every day, usually in the morning around breakfast or in the evening before bed. But you can feed your starter at any time of day, so long as you do it regularly. If you struggle to remember, set a reminder on your phone to help you get in the habit.
If you have a lot of experience with your starter, you can work toward timing your feeds so yourstarter is ready when you need to bake. For best results, feed your starter 3 to 4 hours before baking.
Keep in mind that some flours and starters proof quickly, such as rye flour. Your starter may need 3 to 4 feedings daily, especially if you bake frequently. Feel free to experiment and see what works best for you.
Most sourdough starter commonly asked questions involve troubleshooting the starter. A lot of problems crop up for a variety of reasons.
My starter had a lot of initial activity, but that activity has died down a lot. What should I do?
Sometimes in the first few days of making a starter, you’ll see a lot of froth and bubbles. And then for seemingly no reason, your starter goes inert. Don’t worry. The spurt of activity comes from a variety of bacteria in your starter. If you keep feeding your starter as outlined in my how-to post, the right kind of bacteria will produce acids that kill other bacteria in your starter, resulting in a lull of activity. As more of the right kind of bacteria grow and reproduce in your starter, activity will pick up again soon.
I keep following the guidelines, but my yeast never does anything at all. How come?
Check the temperature in your home. Yeast likes temperatures between 70 and 75 degrees Fahrenheit. Colder temperatures slow the fermentation process.
My starter has a thin layer of liquid on top that smells like alcohol. Has my starter gone bad?
This liquid layer is called “hooch.” Yeast produces alcohol during the fermentation process, and this top liquid layer is essentially cheapbad booze. It often appears when you feed your starter infrequently or if you have a higher water to flour ratio.
If you only have a little bit of hooch on your starter, just stir it into the rest of your starter, feed you starter, and keep going as you would normally. If you have close to an inch of hooch, discard all but 1/2 cup of your starter. Feed your starter equal parts water and flour, and let it sit for a few hours. If you see bubbles and signs of activity, let it sit for another 8 hours or so before using it for baking.
However, if you don’t see any activity after feeding your starter, your starter is probably dead, and you’ll need to begin again.
My container has mold. What do I do?
Yeast produces acid that fights common bacteria and mold. However, if you don’t feed your starter properly and if you don’t clean your container on occasion, mold can grow.
If you only see one or two tiny mold spots, you can use a clean utensil to scoop some of the uncontaminated starter (untouched by mold) and transfer it to a clean container. You can then feed your starter equal parts water and flour as usual and watch for new mold growth over the next two or three days.
But in general, I’d recommend exercising good judgment and discarding your starter. It only takes a few days to create a fresh batch of wild yeast starter.
By now you should have no problem making or maintaining your starter. But many sourdough starter commonly asked questions involve using the starter in basic recipes.
What recipes call for a starter?
So far, I’ve used my sourdough starter for the following:
Pain de Campagne
French Country Sourdough Bread
Check out this recipe
Beginner Sourdough Sandwich Bread
New to making sourdough bread? This easy sandwich bread recipe is a great option for beginners.
Check out this recipe
No-Knead Artisan-Style Sourdough Bread
An introductory recipe to making artisan-style sourdough
Check out this recipe
<<<
No. 1
ORCA calculation (wB97M-V/def2-TZVPD) on a single CH2ClFOS molecule at a distorted geometry.

Cartesian coordinates (Å):
F1 -0.203 1.751 0.462
S1 -0.738 -0.801 0.368
O1 0.246 -1.878 0.474
C1 0.469 0.649 0.144
H1 1.425 0.674 0.831
H2 0.790 0.700 -0.931
Cl1 -1.989 -1.095 -1.346

Results
maximum force	0.0498	hartree/bohr
lowest unoccupied orbital energy	-0.0245	hartree
HOMO level	-10.03	eV
charge	0
frontier orbital gap	9.4	eV

No. 2
ORCA calculation (wB97M-V/def2-TZVPD) on a 7-piece molecular cluster, C41H80N3O8 overall.

Cartesian coordinates (Å):
C1 -2.806 4.363 -5.074
C2 -1.330 0.489 4.034
H1 4.971 -1.734 8.397
C3 3.123 1.681 -2.243
O1 1.497 2.133 2.746
H2 -0.259 -8.385 -2.140
N1 -0.995 1.059 0.711
C4 5.105 2.612 -0.858
H3 3.583 5.520 3.796
H4 -1.767 1.264 -1.239
H5 -1.075 -5.238 -5.730
H6 -2.248 2.558 1.529
H7 -0.995 -1.987 -4.318
H8 -2.943 -3.301 -4.860
H9 0.388 3.641 1.790
C5 -2.351 0.362 -5.931
H10 3.178 2.057 -0.115
H11 -0.773 -2.828 -2.770
H12 -1.531 3.309 -6.456
C6 -1.847 1.577 1.794
H13 -1.574 2.752 -0.344
H14 -5.705 -2.159 6.627
C7 1.793 -6.226 -0.697
H15 1.962 -0.737 9.961
H16 -3.108 1.083 -5.617
N2 0.381 1.363 2.508
C8 -5.831 0.041 6.683
C9 -1.080 1.810 -0.586
H17 -3.916 3.926 -7.800
H18 -0.070 0.187 -2.405
H19 4.449 4.257 -2.656
H20 3.429 3.920 4.531
C10 1.653 -7.482 -1.555
H21 3.976 -2.654 10.381
H22 -4.501 1.349 7.800
H23 1.158 4.203 4.173
C11 -1.680 4.331 -6.099
H24 -1.969 -5.359 -2.822
C12 -3.811 -1.123 6.285
H25 -2.851 3.458 -4.465
O2 5.753 2.728 -2.098
H26 1.027 2.419 -0.764
C13 -2.010 0.456 -7.411
H27 -2.702 -0.642 -5.671
H28 4.149 0.681 -0.630
H29 -1.776 -0.321 3.452
C14 -0.165 -0.040 4.749
H30 -2.672 -0.144 -8.031
C15 0.790 -0.478 5.328
C16 2.037 -2.848 9.446
C17 1.731 4.478 3.284
H31 3.937 -2.708 7.336
H32 2.247 -0.203 -1.597
C18 0.189 2.101 -1.391
H33 0.108 -8.499 -0.410
H34 -3.130 -3.218 -3.104
H35 -6.245 0.034 5.672
C19 1.388 3.474 2.199
C20 -2.160 -5.051 -3.852
H36 -0.993 2.590 3.579
H37 4.833 3.600 -0.462
H38 -0.734 4.695 -5.698
H39 2.614 -5.578 -1.002
C21 2.086 0.550 -2.374
H40 0.112 -4.981 -0.028
H41 -0.518 -1.111 -7.374
C22 -0.940 1.632 3.064
H42 0.341 1.601 -6.281
C23 0.202 -7.867 -1.299
H43 0.772 -0.014 -5.678
C24 -3.725 4.806 -7.177
C25 3.228 4.504 3.633
C26 3.553 -3.034 9.449
O3 -0.501 -6.642 -1.073
H44 3.825 4.063 2.830
C27 -1.080 -2.954 -3.818
H45 3.870 1.573 -3.030
C28 0.429 -5.575 -0.888
H46 -2.950 -5.681 -4.258
C29 0.226 0.855 1.261
H47 5.822 2.191 -0.149
N3 1.153 0.149 0.675
O4 -0.196 -3.881 -4.443
O5 -4.016 4.481 -5.815
O6 3.026 -1.079 8.227
H48 2.104 3.550 1.372
H49 -5.003 -1.405 8.062
H50 6.161 4.717 -2.511
C30 -0.027 0.580 -6.126
H51 0.951 -0.327 -0.189
C31 5.479 3.916 -2.814
H52 5.614 3.705 -3.874
H53 2.637 2.649 -2.409
H54 0.005 0.304 -8.294
C32 0.627 1.033 -2.428
H55 -0.102 2.992 -1.953
H56 0.990 -1.148 8.536
H57 -3.873 -1.429 5.234
C33 -2.253 5.199 -7.217
H58 1.941 -6.499 0.350
H59 3.869 -4.068 9.328
H60 1.565 -3.080 10.399
O7 -1.136 0.618 -5.219
H61 -4.775 1.885 6.133
>>>
Crusty Sourdough Cottage Bread
A sourdough sandwich bread recipe with a tasty crunchy crust
Check out this recipe
Honey Whole Wheat Sourdough
A wholesome whole wheat recipe with just a hint of honey
Check out this recipe
Sourdough Discard Bread
Use up your sourdough starter with this beginner's artisan loaf
Check out this recipe
Cinnamon Raisin Sourdough Bread
A bread recipe that blends the sweet with the tangy
Check out this recipe
White ‘N’ Wheat Artisan Sourdough Bread
A Delicious Blend of White and Wheat Sourdough Bread
Check out this recipe
Sourdough Maple Oat Sandwich Bread
A Flavorful and Slightly Tangy Sandwich Bread
Check out this recipe
Satin Smooth Sourdough Sandwich Bread
A soft and airy sandwich loaf
Check out this recipe
White, Wheat, and Rye Sourdough Bread
A beautiful blend of flavor and flour, this sourdough bread is worth the wait
Check out this recipe
Honey Wheat and Rye Sourdough Sandwich Bread
A beautiful blend of flavors, this sandwich bread combines the sweet from the honey, the tang from the sourdough, and the earthy undertones of whole wheat and rye.
Check out this recipe
I’ll add more recipes in the future, so keep checking back for more!
Do I have to use my starter with bread?
While I love bread, I understand the need to switch things up and have a little variety. You can use your starter to make sourdough pancakes, waffles, tea cakes, muffins, pizza dough, and even cookies. You won’t find these other recipes on this site because I’m just focusing on bread.
However, if you visit my other site:, you’ll find a few of my favorite, non-bread recipes:
Sourdough Discard Chocolate Chip Cookies
A cake-like cookie with a delicious sourdough tang
Sourdough Discard Popovers
A tasty breakfast that uses up your sourdough discard
Sourdough Discard Cinnamon Muffins
Cinnamon sugar and sourdough? Yes please. These muffins make for a great snack anytime.
Sourdough Discard Chocolate Chip Muffins
A chocolate chip variation of sourdough discard cinnamon muffins. A great breakfast and a great way to use up sourdough starter discard.
Sourdough Discard Chocolate Chocolate Chip Muffins
Use up your sourdough starter with this muffin recipe. Double the chocolate, double the yum.
Sourdough Discard Lemon Poppy Seed Muffins
A tangy, sour yet sweet muffin. These tasty breakfast snacks use up your starter without sacrificing flavor.
You can also do a quick Google search for recipes, and you’ll be surprised with your starter’s many uses.
What if I don’t want to cook?
If you have an excessive amount of starter and don’t have time to cook, you can also use your starter as compost. I only throw starter away as a last resort.
Need some time to yourself? These sourdough starter commonly asked questions involve storing your starter for extended time frames.
My starter is taking over my life! How do I take a break?
If you don’t bake frequently, or if you plan to go out of town for a few days, you can refrigerate your starter. To prepare your starter, discard all but 20 grams of starter and then feed it 100 grams four and 80 grams water so your starter is a little on the stiff side. Let your starter sit for an hour or so, and then pop it in the fridge.Your starter can stay alive in the fridge for up to a week before it needs another feeding.
When you want to start baking again, pull your starter out of the fridge and let it thaw for a few hours. Feed it like you would normally for a day or two to give your starter time to get active again, and then go ahead and bake!
What if I want tovacation for even longer?
If you want to take an extended vacation from your starter, you can freeze your starter with a little care. First, check that your freezer won’t drop below 0 degrees Fahrenheit or the wild yeast in your starter will die. Next, transfer your starter to a plastic bag and make the bag as airtight as possible. Then go ahead and freeze.
When you want to revive your starter, move it to the refrigerator to thaw. Once it’s thawed, transfer it to a bowl or other container on your counter and feed it on a regular schedule for a few days to get your starter back up to baking strength.
You can freeze a starter for 2 or 3 months this way.
What if I want to save my starter indefinitely?
If you want to freeze for longer than a few months, you’ll need to dry your starter first.
Smear some of your starter over a piece of parchment paper and let the starter dry completely. The starter should break away from the paper, and you can then grind the starter into small pieces. Place the dried starter in a plastic bag and freeze it indefinitely.
When you want to revive your starter, soak1 ½ teaspoons dried starter in 1 tablespoon (1 oz.) of lukewarm water. Let it sit for a few minutes to soften. Add 1 tablespoon of flour (1 oz.) and stir until fully incorporated. Cover and let sit for 24 hours. The next day, add another tablespoon (1 oz.) of both flour and water, stir, and let sit for 24 hours. By day 3, add another tablespoon (1 oz.) of flour and water, stir, and let it sit for 12 to 24 hours. By now, you should see some bubbling action, and you can then feed your starter as you would normally.
Do You Still Have Questions?
I did my best to answer all the sourdough starter commonly asked questions my friends and family sent my way. However, I couldn’t possibly cover everything in one post. If you have more questions, share them in the comments below. I’ll do some research and write a follow-up post that answers your questions.